Your job: reproduce the whole of the entries further down character by character.
/*
No. 1
# C44H103F3O34P6S2

C44H103F3O34P6S2 as an isolated structure in a non-equilibrium geometry (ωB97M-V with the def2-TZVPD basis set, the OMol25 dataset).

Last column: Löwdin charge in e.
Cartesian coordinates (Å):
C  1.532  -0.808  4.323  -0.062
C  2.671  -0.383  5.181  -0.149
O  3.744  0.264  4.347  0.025
C  4.467  1.312  4.714  -0.414
O  4.253  1.918  5.717  0.165
C  5.403  1.780  3.629  -0.567
F  5.231  3.044  3.379  0.209
F  6.688  1.599  4.061  0.144
F  5.161  1.085  2.519  0.169
H  0.753  -1.137  5.011  0.087
H  1.765  -1.604  3.616  0.051
H  1.127  -0.008  3.703  0.080
H  3.176  -1.273  5.557  0.109
H  2.407  0.129  6.106  0.122
C  2.026  1.167  -5.603  -0.189
C  1.810  0.984  -4.072  -0.210
O  2.489  2.008  -3.454  -0.204
S  3.914  2.216  -4.188  0.754
O  4.852  1.234  -3.621  -0.256
O  4.311  3.640  -4.126  -0.257
O  3.321  1.668  -5.687  -0.200
H  1.344  1.932  -5.972  0.111
H  2.102  0.296  -6.254  0.140
H  2.288  0.063  -3.739  0.126
H  0.777  0.973  -3.722  0.106
C  -0.636  -0.275  0.700  -0.225
C  -0.223  0.444  -0.548  -0.138
O  0.565  -0.573  -1.227  -0.211
S  1.485  -1.408  -0.143  0.738
O  2.790  -0.764  0.107  -0.249
O  1.483  -2.850  -0.455  -0.258
O  0.397  -1.089  1.057  -0.192
H  -1.572  -0.831  0.648  0.122
H  -0.733  0.569  1.382  0.135
H  0.362  1.353  -0.409  0.121
H  -1.143  0.677  -1.084  0.101
C  -3.313  0.489  6.938  -0.042
C  -3.283  1.756  5.996  -0.234
O  -3.773  1.338  4.714  -0.207
P  -3.397  2.077  3.347  0.438
O  -2.186  2.968  3.417  -0.240
O  -3.049  0.805  2.446  -0.165
C  -4.087  0.007  1.927  -0.290
C  -4.684  -0.965  2.959  -0.044
O  -4.745  2.676  2.768  -0.193
C  -5.062  4.102  2.969  -0.181
C  -5.927  4.402  4.281  -0.038
H  -3.044  0.759  7.959  0.073
H  -4.208  -0.120  6.806  0.073
H  -2.487  -0.117  6.568  0.066
H  -3.794  2.676  6.281  0.103
H  -2.232  2.022  5.889  0.105
H  -4.893  0.581  1.469  0.080
H  -3.767  -0.591  1.074  0.092
H  -3.885  -1.540  3.428  0.060
H  -5.221  -0.376  3.703  0.069
H  -5.331  -1.636  2.393  0.081
H  -4.128  4.654  3.075  0.096
H  -5.524  4.370  2.019  0.108
H  -6.873  3.885  4.123  0.068
H  -5.516  4.005  5.209  0.057
H  -6.145  5.455  4.458  0.073
C  -3.119  2.970  -0.609  -0.062
C  -4.592  2.980  -0.979  -0.233
O  -5.131  1.757  -0.562  -0.210
P  -5.243  0.460  -1.477  0.470
O  -5.799  0.655  -2.831  -0.223
O  -3.761  -0.206  -1.416  -0.195
C  -3.330  -1.452  -1.920  -0.268
C  -4.068  -2.211  -2.991  -0.075
O  -6.091  -0.586  -0.556  -0.207
C  -7.485  -0.451  -0.422  -0.243
C  -7.774  0.823  0.453  -0.048
H  -2.651  3.946  -0.736  0.069
H  -2.964  2.805  0.457  0.066
H  -2.469  2.233  -1.081  0.049
H  -5.106  3.725  -0.373  0.117
H  -4.678  3.161  -2.051  0.119
H  -2.303  -1.240  -2.218  0.110
H  -3.085  -2.206  -1.172  0.116
H  -4.807  -2.905  -2.592  0.078
H  -4.566  -1.653  -3.784  0.066
H  -3.464  -2.917  -3.561  0.083
H  -8.003  -0.490  -1.379  0.114
H  -7.721  -1.397  0.066  0.117
H  -8.854  0.963  0.476  0.072
H  -7.483  0.659  1.491  0.073
H  -7.347  1.752  0.073  0.064
C  1.615  -6.414  0.489  -0.045
C  2.343  -6.805  1.811  -0.268
O  1.621  -6.659  3.009  -0.185
P  1.156  -5.194  3.575  0.547
O  1.940  -4.024  3.055  -0.240
O  1.197  -5.384  5.173  -0.166
C  2.337  -5.788  5.837  -0.280
C  3.527  -4.737  5.770  -0.043
O  -0.449  -5.200  3.261  -0.184
C  -0.996  -4.404  2.205  -0.269
C  -2.335  -3.810  2.657  -0.054
H  0.546  -6.595  0.605  0.067
H  1.719  -5.335  0.378  0.045
H  2.129  -6.901  -0.339  0.079
H  2.587  -7.867  1.793  0.119
H  3.292  -6.275  1.887  0.099
H  2.072  -6.002  6.872  0.110
H  2.661  -6.805  5.613  0.114
H  4.079  -4.968  4.859  0.044
H  3.202  -3.712  5.589  0.057
H  4.248  -4.873  6.576  0.076
H  -0.288  -3.586  2.070  0.086
H  -1.000  -5.004  1.295  0.113
H  -2.800  -4.678  3.125  0.079
H  -2.127  -3.056  3.416  0.075
H  -3.006  -3.519  1.849  0.072
C  9.360  -4.846  0.892  -0.053
C  8.621  -4.599  -0.464  -0.300
O  7.662  -5.583  -0.512  -0.174
P  6.112  -5.210  -0.244  0.492
*/
No. 1
# C44H103F3O34P6S2

C44H103F3O34P6S2 as an isolated structure in a non-equilibrium geometry (ωB97M-V with the def2-TZVPD basis set, the OMol25 dataset).

Last column: Löwdin charge in e.
Cartesian coordinates (Å):
C  1.532  -0.808  4.323  -0.062
C  2.671  -0.383  5.181  -0.149
O  3.744  0.264  4.347  0.025
C  4.467  1.312  4.714  -0.414
O  4.253  1.918  5.717  0.165
C  5.403  1.780  3.629  -0.567
F  5.231  3.044  3.379  0.209
F  6.688  1.599  4.061  0.144
F  5.161  1.085  2.519  0.169
H  0.753  -1.137  5.011  0.087
H  1.765  -1.604  3.616  0.051
H  1.127  -0.008  3.703  0.080
H  3.176  -1.273  5.557  0.109
H  2.407  0.129  6.106  0.122
C  2.026  1.167  -5.603  -0.189
C  1.810  0.984  -4.072  -0.210
O  2.489  2.008  -3.454  -0.204
S  3.914  2.216  -4.188  0.754
O  4.852  1.234  -3.621  -0.256
O  4.311  3.640  -4.126  -0.257
O  3.321  1.668  -5.687  -0.200
H  1.344  1.932  -5.972  0.111
H  2.102  0.296  -6.254  0.140
H  2.288  0.063  -3.739  0.126
H  0.777  0.973  -3.722  0.106
C  -0.636  -0.275  0.700  -0.225
C  -0.223  0.444  -0.548  -0.138
O  0.565  -0.573  -1.227  -0.211
S  1.485  -1.408  -0.143  0.738
O  2.790  -0.764  0.107  -0.249
O  1.483  -2.850  -0.455  -0.258
O  0.397  -1.089  1.057  -0.192
H  -1.572  -0.831  0.648  0.122
H  -0.733  0.569  1.382  0.135
H  0.362  1.353  -0.409  0.121
H  -1.143  0.677  -1.084  0.101
C  -3.313  0.489  6.938  -0.042
C  -3.283  1.756  5.996  -0.234
O  -3.773  1.338  4.714  -0.207
P  -3.397  2.077  3.347  0.438
O  -2.186  2.968  3.417  -0.240
O  -3.049  0.805  2.446  -0.165
C  -4.087  0.007  1.927  -0.290
C  -4.684  -0.965  2.959  -0.044
O  -4.745  2.676  2.768  -0.193
C  -5.062  4.102  2.969  -0.181
C  -5.927  4.402  4.281  -0.038
H  -3.044  0.759  7.959  0.073
H  -4.208  -0.120  6.806  0.073
H  -2.487  -0.117  6.568  0.066
H  -3.794  2.676  6.281  0.103
H  -2.232  2.022  5.889  0.105
H  -4.893  0.581  1.469  0.080
H  -3.767  -0.591  1.074  0.092
H  -3.885  -1.540  3.428  0.060
H  -5.221  -0.376  3.703  0.069
H  -5.331  -1.636  2.393  0.081
H  -4.128  4.654  3.075  0.096
H  -5.524  4.370  2.019  0.108
H  -6.873  3.885  4.123  0.068
H  -5.516  4.005  5.209  0.057
H  -6.145  5.455  4.458  0.073
C  -3.119  2.970  -0.609  -0.062
C  -4.592  2.980  -0.979  -0.233
O  -5.131  1.757  -0.562  -0.210
P  -5.243  0.460  -1.477  0.470
O  -5.799  0.655  -2.831  -0.223
O  -3.761  -0.206  -1.416  -0.195
C  -3.330  -1.452  -1.920  -0.268
C  -4.068  -2.211  -2.991  -0.075
O  -6.091  -0.586  -0.556  -0.207
C  -7.485  -0.451  -0.422  -0.243
C  -7.774  0.823  0.453  -0.048
H  -2.651  3.946  -0.736  0.069
H  -2.964  2.805  0.457  0.066
H  -2.469  2.233  -1.081  0.049
H  -5.106  3.725  -0.373  0.117
H  -4.678  3.161  -2.051  0.119
H  -2.303  -1.240  -2.218  0.110
H  -3.085  -2.206  -1.172  0.116
H  -4.807  -2.905  -2.592  0.078
H  -4.566  -1.653  -3.784  0.066
H  -3.464  -2.917  -3.561  0.083
H  -8.003  -0.490  -1.379  0.114
H  -7.721  -1.397  0.066  0.117
H  -8.854  0.963  0.476  0.072
H  -7.483  0.659  1.491  0.073
H  -7.347  1.752  0.073  0.064
C  1.615  -6.414  0.489  -0.045
C  2.343  -6.805  1.811  -0.268
O  1.621  -6.659  3.009  -0.185
P  1.156  -5.194  3.575  0.547
O  1.940  -4.024  3.055  -0.240
O  1.197  -5.384  5.173  -0.166
C  2.337  -5.788  5.837  -0.280
C  3.527  -4.737  5.770  -0.043
O  -0.449  -5.200  3.261  -0.184
C  -0.996  -4.404  2.205  -0.269
C  -2.335  -3.810  2.657  -0.054
H  0.546  -6.595  0.605  0.067
H  1.719  -5.335  0.378  0.045
H  2.129  -6.901  -0.339  0.079
H  2.587  -7.867  1.793  0.119
H  3.292  -6.275  1.887  0.099
H  2.072  -6.002  6.872  0.110
H  2.661  -6.805  5.613  0.114
H  4.079  -4.968  4.859  0.044
H  3.202  -3.712  5.589  0.057
H  4.248  -4.873  6.576  0.076
H  -0.288  -3.586  2.070  0.086
H  -1.000  -5.004  1.295  0.113
H  -2.800  -4.678  3.125  0.079
H  -2.127  -3.056  3.416  0.075
H  -3.006  -3.519  1.849  0.072
C  9.360  -4.846  0.892  -0.053
C  8.621  -4.599  -0.464  -0.300
O  7.662  -5.583  -0.512  -0.174
P  6.112  -5.210  -0.244  0.492